Dickinson Group of Companies is proud to announce its achievement in acquiring the ISO 45001:2018 certification in health and safety.
-- Records of crystals that have nothing to do with the article --
........
[1]
This entry pairs a crystal structure of K2Cu2OsO6 with its calculated X-ray powder pattern. Radiation: λ = 1.5418 Å (Cu Kα). Structure: a crystal structure in Alexandria, relaxed with PBE.
Neutral-atom scattering factors, no anomalous dispersion.

Main lines, in order of rising 2θ (5° ≤ 2θ ≤ 70°):
2θ/deg	Rel. int.
16.31	37
18.30	27
20.61	75
30.49	100
32.64	93
34.77	24
45.27	30
54.19	19
55.56	45
63.46	18

Structure:
```
K2Cu2OsO6
1.0
2.9317 1.6926 5.4335
-2.9317 1.6926 5.4335
0.0000 -3.3853 5.4335
K Cu Os O
2 2 1 6
Direct
0.2155 0.2155 0.2155 K
0.7845 0.7845 0.7845 K
0.4070 0.4070 0.4070 Cu
0.5930 0.5930 0.5930 Cu
0.0000 0.0000 0.0000 Os
0.2201 0.2201 0.7686 O
0.2201 0.7686 0.2201 O
0.2314 0.7799 0.7799 O
0.7686 0.2201 0.2201 O
0.7799 0.2314 0.7799 O
0.7799 0.7799 0.2314 O
```

=====

[2]
This entry pairs a crystal structure of Ac2Ni4Sn3Pb with its calculated X-ray powder pattern. Radiation: λ = 1.5418 Å (Cu Kα). Structure: a crystal structure in Alexandria, relaxed with PBE.
Neutral-atom scattering factors, no anomalous dispersion.

Main lines, in order of rising 2θ (5° ≤ 2θ ≤ 70°):
2θ/deg	Rel. int.
28.76	18
32.25	62
32.44	100
39.19	62
47.82	19
51.62	34
56.62	21
60.30	16
63.47	16
66.78	25

Structure:
```
Ac2Ni4Sn3Pb
1.0
4.5980 0.0000 0.0000
0.0000 4.5980 0.0000
0.0000 0.0000 10.4467
Ac Ni Sn Pb
2 4 3 1
Direct
0.0000 0.5000 0.2366 Ac
0.5000 0.0000 0.7634 Ac
0.0000 0.0000 0.0000 Ni
0.0000 0.5000 0.6342 Ni
0.5000 0.0000 0.3658 Ni
0.5000 0.5000 0.0000 Ni
0.0000 0.5000 0.8810 Sn
0.5000 0.0000 0.1190 Sn
0.5000 0.5000 0.5000 Sn
0.0000 0.0000 0.5000 Pb
```

=====

Please write out number 2 again, unchanged.
This entry pairs a crystal structure of Ac2Ni4Sn3Pb with its calculated X-ray powder pattern. Radiation: λ = 1.5418 Å (Cu Kα). Structure: a crystal structure in Alexandria, relaxed with PBE.
Neutral-atom scattering factors, no anomalous dispersion.

Main lines, in order of rising 2θ (5° ≤ 2θ ≤ 70°):
2θ/deg	Rel. int.
28.76	18
32.25	62
32.44	100
39.19	62
47.82	19
51.62	34
56.62	21
60.30	16
63.47	16
66.78	25

Structure:
```
Ac2Ni4Sn3Pb
1.0
4.5980 0.0000 0.0000
0.0000 4.5980 0.0000
0.0000 0.0000 10.4467
Ac Ni Sn Pb
2 4 3 1
Direct
0.0000 0.5000 0.2366 Ac
0.5000 0.0000 0.7634 Ac
0.0000 0.0000 0.0000 Ni
0.0000 0.5000 0.6342 Ni
0.5000 0.0000 0.3658 Ni
0.5000 0.5000 0.0000 Ni
0.0000 0.5000 0.8810 Sn
0.5000 0.0000 0.1190 Sn
0.5000 0.5000 0.5000 Sn
0.0000 0.0000 0.5000 Pb
```

~~~~~

# 1
This entry pairs a crystal structure of Dy6Ga19Pt3 with its simulated X-ray powder pattern. Radiation: copper Kα. Structure: a structure optimized by DFT (GGA-PBE).

Principal peaks in the range 2θ from 15° to 90°, sorted by position:
2θ 34.0, I 32.3
2θ 34.1, I 20.1
2θ 35.1, I 100.0
2θ 35.3, I 21.8
2θ 35.4, I 96.5
2θ 43.0, I 52.6
2θ 44.1, I 34.8
2θ 63.3, I 26.1

Structure:
```
data_Dy6Ga19Pt3
_chemical_formula_sum 'Dy6 Ga19 Pt3'
_cell_length_a 8.2061
_cell_length_b 8.2061
_cell_length_c 16.0708
_cell_angle_alpha 100.56
_cell_angle_beta 100.56
_cell_angle_gamma 29.72
........
-- Here the article continues --
This ensures our companies' safety standards are of global standardization and allows compliance with current legislation worldwide. Initially being certified with the BS OHSAS 18001:2007 in 2014, DGC realized the importance of shifting to ISO 45001, in achieving the company’s goals of delivering quality services to our clients as well as developing and maintaining a mindset of health and safety amongst all of our employees. This meant a shift from risk management being specific to occupational health and safety, to risk management covering all aspects of the business. Doing so required leadership as well as initiatives by all individuals within the company. Given the high-risk nature of our services and working within the industrial sector, it is important for all our employees to be aware of the risks involved with their day-to-day activities and the control measures to adequately mitigate the potential for harm.
To reduce these risks and make safety a genuine value shared by all its employees, DGC has committed to making safety a basis of its corporate culture.
In achieving this, our top management takes ownership and demonstrates commitment through leadership, in setting an example when it comes to safety measures. We enable and encourage our employees to adopt a proactive culture in anticipating possible hazards and implementing adequate and suitable precautionary measures to prevent any loss-time injuries. In securing the certificate, the company had to undergo numerous changes within its operational procedures in transitioning to the more rigorous standards of the ISO 45001. Ultimately this ensures our clients and partners have the confidence and assurance in our employees, to complete services efficiently and effectively yet still within a safe and controlled environment. Furthermore, the 'safety culture' that we promote enables everyone to become involved and give their opinion on topics relating to health and safety.
Promoting the commitment of everyone creates a collective commitment and helps to develop a genuine safety culture throughout our organization.

Demonstrate strong leadership and direction in all conceivable SHEQ issues.
Ensure a consistent approach to the management of SHEQ in all locations.
Consult and communicate with all employees and stakeholders.
Educate the workforce in risk management, safety, health and environmental principles.
Respect the right of all staff to work in an environment where they know that risks are adequately controlled.
Promote the health and wellbeing of all our staff.
Measure SHEQ performance.

Dickinson Group of Companies (DGC) was founded in 1910. For comprehensive information about our company's History, Vision & Values, Strategy, Global Alliances, Africa Footprint, Commitment to Safety, Anti-Corruption Policy, References, and Industrial Solutions, please visit our website.
